-- Work order --
What is needed: quote everything below word for word.
-- Contents --
____________
The following is a theoretical PXRD pattern of PaSb3Ru. It was derived from DFT lattice parameters and positions (GGA-PBE), using Cu Kα X-rays.
Intensities are scaled so that the largest is 100.

The 10 most intense peaks (10° ≤ 2θ ≤ 80°), by intensity:
| 2theta | Rel. int. |
| --- | --- |
| 34.83 | 100 |
| 36.89 | 98 |
| 31.50 | 84 |
| 36.66 | 81 |
| 30.51 | 60 |
| 10.58 | 54 |
| 37.48 | 50 |
| 35.67 | 49 |
| 27.48 | 49 |
| 52.09 | 39 |

Cell: 5.8602 5.1510 8.3624 Å, 90.00 90.00 90.00°
Atoms (fractional coordinates):
Pa (0.2500, 0.0000, 0.1524)
Pa (0.7500, 0.0000, 0.8476)
Sb (0.0000, 0.5000, 0.0000)
Sb (0.2500, 0.0000, 0.7486)
Sb (0.2500, 0.5000, 0.3891)
Sb (0.5000, 0.5000, 0.0000)
Sb (0.7500, 0.0000, 0.2514)
Sb (0.7500, 0.5000, 0.6109)
Ru (0.2500, 0.5000, 0.7054)
Ru (0.7500, 0.5000, 0.2946)

The following is a theoretical PXRD pattern of Dy7Bi2Os2. It was derived from DFT lattice parameters and positions (GGA-PBE), using Cu Kα X-rays.
Intensities are scaled so that the largest is 100.

The 10 most intense peaks (10° ≤ 2θ ≤ 80°), by intensity:
| 2theta | Rel. int. |
| --- | --- |
| 36.19 | 100 |
| 23.51 | 53 |
| 34.35 | 43 |
| 20.89 | 34 |
| 42.04 | 29 |
| 40.83 | 29 |
| 37.04 | 24 |
| 27.70 | 23 |
| 54.40 | 19 |
| 55.55 | 18 |

Cell: 6.8401 6.8401 7.3295 Å, 90.00 90.00 99.52°
Atoms (fractional coordinates):
Dy (0.0000, 0.0000, 0.0000)
Dy (0.0000, 0.5000, 0.2331)
Dy (0.0000, 0.5000, 0.7669)
Dy (0.5000, 0.0000, 0.2331)
Dy (0.5000, 0.0000, 0.7669)
Dy (0.5000, 0.5000, 0.2231)
Dy (0.5000, 0.5000, 0.7769)
Bi (0.2096, 0.2096, 0.5000)
Bi (0.7904, 0.7904, 0.5000)
Os (0.2779, 0.7221, 0.0000)
Os (0.7221, 0.2779, 0.0000)

The following is a theoretical PXRD pattern of Dy2Zn12Au7. It was derived from DFT lattice parameters and positions (GGA-PBE), using Cu Kα X-rays.
Intensities are scaled so that the largest is 100.

The 10 most intense peaks (10° ≤ 2θ ≤ 80°), by intensity:
| 2theta | Rel. int. |
| --- | --- |
| 34.16 | 100 |
| 45.76 | 57 |
| 25.95 | 54 |
| 42.17 | 48 |
| 29.46 | 38 |
| 36.99 | 29 |
| 65.74 | 27 |
| 49.08 | 24 |
| 44.49 | 24 |
| 27.73 | 17 |

Cell: 10.4909 10.4909 4.0724 Å, 90.00 90.00 120.00°
Atoms (fractional coordinates):
Dy (0.3333, 0.6667, 0.2485)
Dy (0.6667, 0.3333, 0.7515)
Zn (0.0391, 0.4309, 0.7503)
Zn (0.1095, 0.2645, 0.2426)
Zn (0.1550, 0.8905, 0.2426)
Zn (0.2645, 0.1550, 0.7574)
Zn (0.3918, 0.9609, 0.7503)
Zn (0.4309, 0.3918, 0.2497)
Zn (0.5691, 0.6082, 0.7503)
Zn (0.6082, 0.0391, 0.2497)
Zn (0.7355, 0.8450, 0.2426)
Zn (0.8450, 0.1095, 0.7574)
Zn (0.8905, 0.7355, 0.7574)
Zn (0.9609, 0.5691, 0.2497)
Au (0.0000, 0.0000, 0.5000)
Au (0.1395, 0.7164, 0.7491)
Au (0.2836, 0.4231, 0.7491)
Au (0.4231, 0.1395, 0.2509)
Au (0.5769, 0.8605, 0.7491)
Au (0.7164, 0.5769, 0.2509)
Au (0.8605, 0.2836, 0.2509)

The following is a theoretical PXRD pattern of Y5Sb4Se. It was derived from DFT lattice parameters and positions (GGA-PBE), using Cu Kα X-rays.
Intensities are scaled so that the largest is 100.

The 10 most intense peaks (10° ≤ 2θ ≤ 80°), by intensity:
| 2theta | Rel. int. |
| --- | --- |
| 29.12 | 100 |
| 41.66 | 74 |
| 68.39 | 27 |
| 51.63 | 26 |
| 75.99 | 16 |
| 76.10 | 8 |
| 60.42 | 8 |
| 68.51 | 5 |
| 60.29 | 4 |
| 25.15 | 2 |

Cell: 11.4747 11.4747 11.4747 Å, 158.25 148.96 38.22°
Atoms (fractional coordinates):
Y (0.0000, 0.0000, 0.0000)
Y (0.2010, 0.2010, 0.0000)
Y (0.4033, 0.4033, 0.0000)
Y (0.5967, 0.5967, 0.0000)
Y (0.7990, 0.7990, 0.0000)
Sb (0.0993, 0.5993, 0.5000)
Sb (0.3028, 0.8028, 0.5000)
Sb (0.6972, 0.1972, 0.5000)
Sb (0.9007, 0.4007, 0.5000)
Se (0.5000, 0.0000, 0.5000)

Copy entry 3 word for word.
The following is a theoretical PXRD pattern of Dy2Zn12Au7. It was derived from DFT lattice parameters and positions (GGA-PBE), using Cu Kα X-rays.
Intensities are scaled so that the largest is 100.

The 10 most intense peaks (10° ≤ 2θ ≤ 80°), by intensity:
| 2theta | Rel. int. |
| --- | --- |
| 34.16 | 100 |
| 45.76 | 57 |
| 25.95 | 54 |
| 42.17 | 48 |
| 29.46 | 38 |
| 36.99 | 29 |
| 65.74 | 27 |
____________
-- Result --
The following is a theoretical PXRD pattern of PaSb3Ru. It was derived from DFT lattice parameters and positions (GGA-PBE), using Cu Kα X-rays.
Intensities are scaled so that the largest is 100.

The 10 most intense peaks (10° ≤ 2θ ≤ 80°), by intensity:
| 2theta | Rel. int. |
| --- | --- |
| 34.83 | 100 |
| 36.89 | 98 |
| 31.50 | 84 |
| 36.66 | 81 |
| 30.51 | 60 |
| 10.58 | 54 |
| 37.48 | 50 |
| 35.67 | 49 |
| 27.48 | 49 |
| 52.09 | 39 |

Cell: 5.8602 5.1510 8.3624 Å, 90.00 90.00 90.00°
Atoms (fractional coordinates):
Pa (0.2500, 0.0000, 0.1524)
Pa (0.7500, 0.0000, 0.8476)
Sb (0.0000, 0.5000, 0.0000)
Sb (0.2500, 0.0000, 0.7486)
Sb (0.2500, 0.5000, 0.3891)
Sb (0.5000, 0.5000, 0.0000)
Sb (0.7500, 0.0000, 0.2514)
Sb (0.7500, 0.5000, 0.6109)
Ru (0.2500, 0.5000, 0.7054)
Ru (0.7500, 0.5000, 0.2946)

The following is a theoretical PXRD pattern of Dy7Bi2Os2. It was derived from DFT lattice parameters and positions (GGA-PBE), using Cu Kα X-rays.
Intensities are scaled so that the largest is 100.

The 10 most intense peaks (10° ≤ 2θ ≤ 80°), by intensity:
| 2theta | Rel. int. |
| --- | --- |
| 36.19 | 100 |
| 23.51 | 53 |
| 34.35 | 43 |
| 20.89 | 34 |
| 42.04 | 29 |
| 40.83 | 29 |
| 37.04 | 24 |
| 27.70 | 23 |
| 54.40 | 19 |
| 55.55 | 18 |

Cell: 6.8401 6.8401 7.3295 Å, 90.00 90.00 99.52°
Atoms (fractional coordinates):
Dy (0.0000, 0.0000, 0.0000)
Dy (0.0000, 0.5000, 0.2331)
Dy (0.0000, 0.5000, 0.7669)
Dy (0.5000, 0.0000, 0.2331)
Dy (0.5000, 0.0000, 0.7669)
Dy (0.5000, 0.5000, 0.2231)
Dy (0.5000, 0.5000, 0.7769)
Bi (0.2096, 0.2096, 0.5000)
Bi (0.7904, 0.7904, 0.5000)
Os (0.2779, 0.7221, 0.0000)
Os (0.7221, 0.2779, 0.0000)

The following is a theoretical PXRD pattern of Dy2Zn12Au7. It was derived from DFT lattice parameters and positions (GGA-PBE), using Cu Kα X-rays.
Intensities are scaled so that the largest is 100.

The 10 most intense peaks (10° ≤ 2θ ≤ 80°), by intensity:
| 2theta | Rel. int. |
| --- | --- |
| 34.16 | 100 |
| 45.76 | 57 |
| 25.95 | 54 |
| 42.17 | 48 |
| 29.46 | 38 |
| 36.99 | 29 |
| 65.74 | 27 |
| 49.08 | 24 |
| 44.49 | 24 |
| 27.73 | 17 |

Cell: 10.4909 10.4909 4.0724 Å, 90.00 90.00 120.00°
Atoms (fractional coordinates):
Dy (0.3333, 0.6667, 0.2485)
Dy (0.6667, 0.3333, 0.7515)
Zn (0.0391, 0.4309, 0.7503)
Zn (0.1095, 0.2645, 0.2426)
Zn (0.1550, 0.8905, 0.2426)
Zn (0.2645, 0.1550, 0.7574)
Zn (0.3918, 0.9609, 0.7503)
Zn (0.4309, 0.3918, 0.2497)
Zn (0.5691, 0.6082, 0.7503)
Zn (0.6082, 0.0391, 0.2497)
Zn (0.7355, 0.8450, 0.2426)
Zn (0.8450, 0.1095, 0.7574)
Zn (0.8905, 0.7355, 0.7574)
Zn (0.9609, 0.5691, 0.2497)
Au (0.0000, 0.0000, 0.5000)
Au (0.1395, 0.7164, 0.7491)
Au (0.2836, 0.4231, 0.7491)
Au (0.4231, 0.1395, 0.2509)
Au (0.5769, 0.8605, 0.7491)
Au (0.7164, 0.5769, 0.2509)
Au (0.8605, 0.2836, 0.2509)

The following is a theoretical PXRD pattern of Y5Sb4Se. It was derived from DFT lattice parameters and positions (GGA-PBE), using Cu Kα X-rays.
Intensities are scaled so that the largest is 100.

The 10 most intense peaks (10° ≤ 2θ ≤ 80°), by intensity:
| 2theta | Rel. int. |
| --- | --- |
| 29.12 | 100 |
| 41.66 | 74 |
| 68.39 | 27 |
| 51.63 | 26 |
| 75.99 | 16 |
| 76.10 | 8 |
| 60.42 | 8 |
| 68.51 | 5 |
| 60.29 | 4 |
| 25.15 | 2 |

Cell: 11.4747 11.4747 11.4747 Å, 158.25 148.96 38.22°
Atoms (fractional coordinates):
Y (0.0000, 0.0000, 0.0000)
Y (0.2010, 0.2010, 0.0000)
Y (0.4033, 0.4033, 0.0000)
Y (0.5967, 0.5967, 0.0000)
Y (0.7990, 0.7990, 0.0000)
Sb (0.0993, 0.5993, 0.5000)
Sb (0.3028, 0.8028, 0.5000)
Sb (0.6972, 0.1972, 0.5000)
Sb (0.9007, 0.4007, 0.5000)
Se (0.5000, 0.0000, 0.5000)

Copy entry 3 word for word.
The following is a theoretical PXRD pattern of Dy2Zn12Au7. It was derived from DFT lattice parameters and positions (GGA-PBE), using Cu Kα X-rays.
Intensities are scaled so that the largest is 100.

The 10 most intense peaks (10° ≤ 2θ ≤ 80°), by intensity:
| 2theta | Rel. int. |
| --- | --- |
| 34.16 | 100 |
| 45.76 | 57 |
| 25.95 | 54 |
| 42.17 | 48 |
| 29.46 | 38 |
| 36.99 | 29 |
| 65.74 | 27 |